What to do:
Retype only the last part of the material further below, starting with the line that has "0.262 0.262".
Given:
/*
Entry 1:
CePrSb | Alexandria via LeMat-Bulk | GGA-PBE | relaxed; space-group type = I4mm (107); N(E_F) = 2.492 states/eV per atom; ΔE_f (raw) = -616 meV/atom
1.0
4.231 0.000 0.000
0.000 4.231 0.000
-2.116 -2.116 4.931
Ce Pr Sb
1 1 1
direct
0.262 0.262 0.525 Ce
0.970 0.970 0.940 Pr
0.618 0.618 0.235 Sb

---

Entry 2:
CePrSb | Alexandria via LeMat-Bulk | GGA-PBE | relaxed; space-group type = C2/m (12); N(E_F) = 1.930 states/eV per atom; ΔE_f (raw) = -282 meV/atom
1.0
3.390 0.000 0.000
1.695 9.721 0.542
1.695 -14.584 5.192
Pr Sb Ce
2 2 2
direct
0.890 0.908 0.312 Pr
0.110 0.092 0.688 Pr
0.853 0.528 0.766 Sb
0.147 0.472 0.234 Sb
0.751 0.780 0.717 Ce
0.249 0.220 0.283 Ce

---

Entry 3:
CePrSb | Alexandria via LeMat-Bulk | GGA-PBE | relaxed; space-group type = P3m1 (156); N(E_F) = 2.886 states/eV per atom; ΔE_f (raw) = -374 meV/atom
1.0
4.295 0.000 0.000
0.000 5.084 0.000
0.000 -2.542 4.403
Pr Sb Ce
1 1 1
direct
0.611 0.667 0.333 Pr
0.336 0.333 0.667 Sb
0.053 0.000 0.000 Ce

---

Entry 4:
CePr5Sb6 | Alexandria via LeMat-Bulk | GGA-PBE | relaxed; space-group type = C2/m (12); N(E_F) = 0.567 states/eV per atom; ΔE_f (raw) = -1172 meV/atom
1.0
7.877 0.214 0.000
2.423 7.493 0.000
1.211 3.746 6.823
Pr Sb Ce
5 6 1
direct
0.500 0.500 0.000 Pr
0.500 0.168 0.664 Pr
0.000 0.666 0.668 Pr
0.000 0.334 0.332 Pr
0.500 0.832 0.336 Pr
0.248 0.246 0.000 Sb
0.752 0.412 0.670 Sb
0.752 0.082 0.330 Sb
0.248 0.918 0.670 Sb
0.752 0.754 0.000 Sb
0.248 0.588 0.330 Sb
0.000 0.000 0.000 Ce

---

Entry 5:
Ce2Pr2Sb5 | Alexandria via LeMat-Bulk | GGA-PBE | relaxed; space-group type = Cmce (64); N(E_F) = 0.786 states/eV per atom; ΔE_f (raw) = -937 meV/atom
1.0
-1.464 1.710 -8.107
-6.586 -5.993 -0.074
-1.122 8.601 2.017
Pr Sb Ce
4 10 4
direct
0.157 0.654 0.654 Pr
0.657 0.846 0.846 Pr
0.343 0.154 0.154 Pr
0.843 0.346 0.346 Pr
0.152 0.489 0.202 Sb
0.000 0.000 0.000 Sb
0.348 0.702 0.989 Sb
0.152 0.202 0.489 Sb
0.848 0.798 0.511 Sb
0.652 0.011 0.298 Sb
0.848 0.511 0.798 Sb
0.652 0.298 0.011 Sb
0.500 0.500 0.500 Sb
0.348 0.989 0.702 Sb
0.500 0.693 0.307 Ce
0.000 0.807 0.193 Ce
0.000 0.193 0.807 Ce
0.500 0.307 0.693 Ce

---

Entry 6:
CePr2Sb2 | Alexandria via LeMat-Bulk | GGA-PBE | relaxed; space-group type = I4/mmm (139); N(E_F) = 2.589 states/eV per atom; ΔE_f (raw) = -680 meV/atom
1.0
4.499 0.000 0.000
0.000 4.499 0.000
-2.249 -2.249 9.269
Pr Sb Ce
2 2 1
direct
0.662 0.662 0.325 Pr
0.338 0.338 0.675 Pr
0.834 0.834 0.668 Sb
0.166 0.166 0.332 Sb
0.000 0.000 0.000 Ce
*/
Response:
0.262 0.262 0.525 Ce
0.970 0.970 0.940 Pr
0.618 0.618 0.235 Sb

---

Entry 2:
CePrSb | Alexandria via LeMat-Bulk | GGA-PBE | relaxed; space-group type = C2/m (12); N(E_F) = 1.930 states/eV per atom; ΔE_f (raw) = -282 meV/atom
1.0
3.390 0.000 0.000
1.695 9.721 0.542
1.695 -14.584 5.192
Pr Sb Ce
2 2 2
direct
0.890 0.908 0.312 Pr
0.110 0.092 0.688 Pr
0.853 0.528 0.766 Sb
0.147 0.472 0.234 Sb
0.751 0.780 0.717 Ce
0.249 0.220 0.283 Ce

---

Entry 3:
CePrSb | Alexandria via LeMat-Bulk | GGA-PBE | relaxed; space-group type = P3m1 (156); N(E_F) = 2.886 states/eV per atom; ΔE_f (raw) = -374 meV/atom
1.0
4.295 0.000 0.000
0.000 5.084 0.000
0.000 -2.542 4.403
Pr Sb Ce
1 1 1
direct
0.611 0.667 0.333 Pr
0.336 0.333 0.667 Sb
0.053 0.000 0.000 Ce

---

Entry 4:
CePr5Sb6 | Alexandria via LeMat-Bulk | GGA-PBE | relaxed; space-group type = C2/m (12); N(E_F) = 0.567 states/eV per atom; ΔE_f (raw) = -1172 meV/atom
1.0
7.877 0.214 0.000
2.423 7.493 0.000
1.211 3.746 6.823
Pr Sb Ce
5 6 1
direct
0.500 0.500 0.000 Pr
0.500 0.168 0.664 Pr
0.000 0.666 0.668 Pr
0.000 0.334 0.332 Pr
0.500 0.832 0.336 Pr
0.248 0.246 0.000 Sb
0.752 0.412 0.670 Sb
0.752 0.082 0.330 Sb
0.248 0.918 0.670 Sb
0.752 0.754 0.000 Sb
0.248 0.588 0.330 Sb
0.000 0.000 0.000 Ce

---

Entry 5:
Ce2Pr2Sb5 | Alexandria via LeMat-Bulk | GGA-PBE | relaxed; space-group type = Cmce (64); N(E_F) = 0.786 states/eV per atom; ΔE_f (raw) = -937 meV/atom
1.0
-1.464 1.710 -8.107
-6.586 -5.993 -0.074
-1.122 8.601 2.017
Pr Sb Ce
4 10 4
direct
0.157 0.654 0.654 Pr
0.657 0.846 0.846 Pr
0.343 0.154 0.154 Pr
0.843 0.346 0.346 Pr
0.152 0.489 0.202 Sb
0.000 0.000 0.000 Sb
0.348 0.702 0.989 Sb
0.152 0.202 0.489 Sb
0.848 0.798 0.511 Sb
0.652 0.011 0.298 Sb
0.848 0.511 0.798 Sb
0.652 0.298 0.011 Sb
0.500 0.500 0.500 Sb
0.348 0.989 0.702 Sb
0.500 0.693 0.307 Ce
0.000 0.807 0.193 Ce
0.000 0.193 0.807 Ce
0.500 0.307 0.693 Ce

---

Entry 6:
CePr2Sb2 | Alexandria via LeMat-Bulk | GGA-PBE | relaxed; space-group type = I4/mmm (139); N(E_F) = 2.589 states/eV per atom; ΔE_f (raw) = -680 meV/atom
1.0
4.499 0.000 0.000
0.000 4.499 0.000
-2.249 -2.249 9.269
Pr Sb Ce
2 2 1
direct
0.662 0.662 0.325 Pr
0.338 0.338 0.675 Pr
0.834 0.834 0.668 Sb
0.166 0.166 0.332 Sb
0.000 0.000 0.000 Ce